Arthur fought the urge to bite his lip as he approached the dining hall. His friends guffawed on either side of him, flicking a football between them as they stalked through the soft grass. The hum of conversation emanating from the hall ahead was much more muted than usual, and Arthur's shoulders became more and more tense as he stepped closer.

"Arthur, relax," came a quiet voice from beside him. A hand settled on his shoulder and squeezed in reassurance.

Arthur gave a slightly wan smile. "I'm completely relaxed, Lance. Can't you tell?"

Lance chuckled. "Nothing's gonna happen, you know. He'll give his speech, raise an eyebrow at us, we'll eat and he'll leave. No fuss, same as always."

"Yeah," said Arthur, breathing through tense lips. "I know."

It wasn't something Lance could understand. He had parents who supported him, through hell or high water. It was different with Uther Pendragon. Everything was a test, a display, an opportunity to show the world just how much better you were than them. It was an act they could not escape, even in their most intimate moments, and with Uther's annual visit to the school he funded almost single-handedly, Arthur's body had begun to thrum with anxiety.

Sometimes he really envied Lance.

A weight slammed Arthur to the side, knocking him into Lance with an undignified wooph!

"Watch it, Pendragon!"

Arthur glared at the newcomer with indignant fury, pushing himself away from his friend.

"Oh, shove it, Emrys," he spat at the boy.

"I believe I just did," said Emrys, happily flipping him off with a lightly manic grin.

Arthur shot him a two-fingered salute and watched as the boy bolted towards the door.

"What's with Merlin?" asked Lance, frowning at the retreating back.

"Beats me," said Arthur.

"Wants to be the first one from Jameson Hall to get there," said a tall boy from behind him. "Guess he wanted to steal your big entrance."

Arthur glared, whacking the boy on the shoulder.

Records of crystals, kept here for reference:
- - -
# 1
Structure and calculated X-ray powder pattern of BaUI6 (a GGA-PBE-relaxed structure; a wavelength of 1.5418 Å).
Lines closer than 0.1° are merged.

abc: 8.428 8.428 15.436
angles: 96.24 96.24 119.57
Atoms (fractional coordinates):
Ba  0.080  0.920  0.500
Ba  0.920  0.080  0.000
U  0.415  0.587  0.503
U  0.587  0.415  0.003
I  0.080  0.252  0.384
I  0.175  0.641  0.621
I  0.252  0.080  0.884
I  0.337  0.454  0.119
I  0.369  0.831  0.385
I  0.454  0.337  0.619
I  0.540  0.661  0.887
I  0.641  0.175  0.121
I  0.661  0.540  0.387
I  0.755  0.919  0.622
I  0.831  0.369  0.885
I  0.919  0.755  0.122

Largest 10 diffraction maxima, low angle first, 10 to 90 degrees two-theta:
2θ 11.74, rel. 52; 2θ 12.59, rel. 29; 2θ 21.42, rel. 26; 2θ 26.17, rel. 100; 2θ 26.71, rel. 50; 2θ 36.80, rel. 33; 2θ 37.03, rel. 17; 2θ 37.66, rel. 21; 2θ 38.66, rel. 35; 2θ 46.24, rel. 19

# 2
Structure and calculated X-ray powder pattern of BaYI5 (a GGA-PBE-relaxed structure; a wavelength of 1.5418 Å).
Lines closer than 0.1° are merged.

abc: 8.421 8.421 11.885
angles: 109.29 109.29 70.13
Atoms (fractional coordinates):
Ba  0.052  0.948  0.750
Ba  0.948  0.052  0.250
Y  0.500  0.500  0.000
Y  0.500  0.500  0.500
I  0.140  0.747  0.011
I  0.196  0.347  0.377
I  0.253  0.860  0.489
I  0.347  0.196  0.877
I  0.422  0.578  0.750
I  0.578  0.422  0.250
I  0.653  0.804  0.123
I  0.747  0.140  0.511
I  0.804  0.653  0.623
I  0.860  0.253  0.989

Largest 10 diffraction maxima, low angle first, 10 to 90 degrees two-theta:
2θ 14.04, rel. 100; 2θ 17.52, rel. 89; 2θ 22.59, rel. 72; 2θ 24.45, rel. 61; 2θ 27.25, rel. 78; 2θ 28.30, rel. 77; 2θ 28.93, rel. 78; 2θ 30.09, rel. 98; 2θ 33.92, rel. 77; 2θ 35.43, rel. 64

# 3
Structure and calculated X-ray powder pattern of Ba2YI7 (a GGA-PBE-relaxed structure; a wavelength of 1.5418 Å).
Lines closer than 0.1° are merged.

abc: 8.508 14.807 15.498
angles: 90.00 98.45 90.00
Atoms (fractional coordinates):
Ba  0.128  0.000  0.190
Ba  0.185  0.175  0.688
Ba  0.257  0.758  0.844
Ba  0.288  0.428  0.338
Ba  0.712  0.928  0.662
Ba  0.743  0.258  0.156
Ba  0.815  0.675  0.312
Ba  0.872  0.500  0.810
Y  0.375  0.467  0.938
Y  0.381  0.713  0.448
Y  0.619  0.213  0.552
Y  0.625  0.967  0.062
I  0.086  0.977  0.784
I  0.112  0.584  0.470
I  0.118  0.215  0.276
I  0.118  0.594  0.987
I  0.125  0.847  0.370
I  0.144  0.312  0.882
I  0.265  0.531  0.752
I  0.339  0.847  0.073
I  0.345  0.341  0.562
I  0.374  0.784  0.632
I  0.386  0.059  0.519
I  0.388  0.652  0.259
I  0.396  0.123  0.059
I  0.410  0.405  0.128
I  0.590  0.905  0.872
I  0.604  0.623  0.941
I  0.612  0.152  0.741
I  0.614  0.559  0.481
I  0.626  0.284  0.368
I  0.655  0.841  0.438
I  0.661  0.347  0.927
I  0.735  0.031  0.248
I  0.856  0.812  0.118
I  0.875  0.347  0.630
I  0.882  0.094  0.013
I  0.882  0.715  0.724
I  0.888  0.084  0.530
I  0.914  0.477  0.216

Largest 10 diffraction maxima, low angle first, 10 to 90 degrees two-theta:
- - -
End of the records of crystals:

"Shove off, Percy. I don't get a big entrance."

Percy rubbed his shoulder, wincing. "Please," he said, rolling his eyes. "We're the only hall using that door and everyone knows you get here crazy early whenever your father visits. You may as well have trumpets bellowing when you turn up."

Arthur cringed at the unfortunate (and very accurate) picture, choosing not to acknowledge his irritating friend.

The doors ahead creaked as Merlin pushed them open, disappearing inside. Barely a second later, a loud squelching and splashing sound erupted from within and the dining hall exploded in laughter. Arthur shot his friends a confused glance and jogged forward to investigate.

The doors slid open again and a figure tumbled out, drenched in an unidentifiable mess of brown and green that slid down his body in wet clumps. What could be seen of his face was bright red, his expression taught with fury.

"Christ, Emrys," said Percy. "You look worse than usual."

"Go suck a monkey's hairy ballsack," spat Merlin, pushing past them.

"Not one of your best lines," said Arthur, doing nothing to hide his grin.

"Fuck you, Pendragon," Merlin threw over his shoulder, stalking away.

Arthur watched after him, curious.

"Did you set that up, Arthur?" asked a dark-skinned boy, smirking.

"With my father in there? Of course I fucking didn't," Arthur said, shaking his head.

Lance cocked his head at him. "Did someone else get involved in your little war?"

Arthur shrugged. "Not that I know of. Maybe the idiot found someone else to piss off to high hell."

Lance looked back at him. "I guess. Good thing he was so keen to get to dinner tonight, eh. Hate to see what your dad would be like if it was you."

Arthur paused, looking at his friend. Lance kept walking, not noticing Arthur's hesitance.

Arthur's eyes narrowed as a suspicion began to take root, and he swivelled back to the direction in which Merlin had disappeared.

"You guys go on ahead," he found himself saying. "I left something back at the dorms."

"Really, Arthur?" said Percy. "You sure you have to go back?"

"Yeah," said Arthur. "Meet you at our table, okay?"

His friends acquiesced with a few confused grumbles and Arthur jogged back through the dark, trying to keep quiet. After a moment he spotted a dejected figure trudging towards the residential hall, and he slowed his steps, watching from a distance. As he crept closer, Merlin's resigned posture came into sharp focus, and he watched as the boy diverted from the main path and into the trees, bending down to pick something up. Arthur leaned closer, and the flashing light emanating from the object showed it to be a mobile phone.

Grumbling, Merlin picked his way back onto the main path.

"Drop your phone?" asked Arthur, Merlin-inspired haughtiness well in tact.

Merlin jumped, whirling around.

"What the hell, Pendragon?" he yelled, green gunk slipping from his hair as he spoke. "Are you following me?"

Arthur shrugged. "Why was your phone in there?" he asked, gesturing to the trees. Merlin stared at him.

"Dropped it. And why the hell do you care?"

Arthur cocked his head at it. "Because you found it pretty damn quickly. Even though it's way off the path."

Merlin rolled his eyes.

"I'm good at finding things. Now will you bugger off?"

"Good thing you dropped it, really," continued Arthur, blithely ignoring Merlin's answer. "Bet that crap you're swimming in would've ruined it, even if it is a two-dollar piece of crap."

Merlin narrowed his eyes. "We can't all afford fifteen-hundred dollar 007 gadgets."

Arthur waved away his interruption. "In fact, it's almost like you left it there on purpose, so it wouldn't get busted."

Merlin pursed his lips, supremely unamused.

"Whatever you're implying, Pendragon, you're wrong. Now fuck off."

"You knew," said Arthur. He was staring now, in unabashed curiosity. "You knew that crap was behind the door."

Merlin rolled his eyes.

"Of course I didn't," he dismissed, turning away. "Why the fuck would I let this happen on purpose?" He ran a hand through his rancid hair, flicking the gunge over his shoulder at Arthur.

"Because it was meant for me," Arthur said, the pieces falling into place. Merlin stilled. "Everyone knows I come early on important visits. They were trying to get me."

Merlin sighed, staring into the darkness.

"They should have more class," he replied, finally.

Arthur watched him, brows furrowed. "Did they tell you? What they were planning, I mean."

"Of course they did," snapped Merlin. "If there was anyone they could trust to back them up on this, it'd be me."

Arthur paused.

"But you didn't."


Arthur waited for more, but Merlin simply continued his angry trudge back to the dorms. Arthur ran after him, grabbing him by the bicep and then snatching his hand away as he felt the warm ooze.

"Why?" he demanded, flicking the grot off his hand.

"Because I'm not that fucking cruel!" said Merlin. Arthur stared at him, and his shoulders slumped.

"He's your dad," Merlin said, simply. "I mean, he's Uther fucking Pendragon. And he's your dad."

Arthur said nothing, swallowing carefully and forcing down the well of gratitude that should never have been directed at sodding Merlin Emrys.

"Thank you," said Arthur. Merlin glared.

"You're still a dick," he said, though his usual venom was absent. "I'm just not a total douchebag."

"Couldn't you have just taken down the buckets?"

"No time," said Merlin, his face a picture of distaste. "And I sure as fuck didn't want you to know about it."

Arthur nodded, stepping back carefully.

"This doesn't change anything, you know."

Merlin scowled. "It had better fucking not."

"Because you're still a tool."

"And you're a complete twat."

The two paused, looking at each other, uncertain.

Then Merlin adopted a smirk.

"Besides," he said, silkily. "With everything I've got planned for you, I'm gonna feel really bad if you don't try to fight back."

Arthur's eyes narrowed.

"Bring it, Emrys."

Merlin sneered, then twisted on his heal, disappearing into the dorms. Arthur turned, making his way back to the dining hall. As the lights came back into view, he found himself feeling strangely lighter, and decidedly less nervous about seeing his father. With a soft smile on his face that he couldn't quite explain, he ducked into the hall.

A/N: This was something I kind of had to get out last night. I'm actually 10 000 words into a much larger piece, but this scene wouldn't leave me alone, so I whipped it out at about 1am. I hope you like it, even if it is very rough.

Tell me what you think!